A patient’s genetic makeup may explain the “placebo effect,” in which people perceive that a fake treatment makes them feel better, according to a study that may help researchers design better clinical trials.
Patients with a certain variation on a gene linked to release of dopamine, a brain chemical that affects emotions and sensations of pleasure and pain, were more likely to respond to a placebo version of acupuncture than patients with a different variation, a study in the journal PLoS One found.
The findings may be useful for designing clinical trials, understanding why a placebo effect exists or trying to control it, researchers said. A stronger than expected response to placebo can make even a potentially effective drug appear to work less well, said Ted Kaptchuk, associate professor of medicine at Harvard Medical School and an author of the study.
“A clinical trial has one purpose: to show a difference in drug and placebo,” Kaptchuk, who is also director of the Program in Placebo Studies & the Therapeutic Encounter at Beth Israel Deaconess Medical Center in Boston, said in a telephone interview. “If the placebo effect is very big, that makes things very difficult. It’s the Holy Grail in drug development – – how we can predict and control placebo response is critical. This may be an opening to that question.”
The research released yesterday, funded by the National Institutes of Health, was done in patients with irritable bowel syndrome who enrolled in an acupuncture trial that evaluated their self-reported change in areas like abdominal pain over three weeks.
Trial Design
The patients were separated into three groups: one that received no treatment, called the “wait list” group; one that received fake acupuncture with little interaction with the caregiver, called the “limited” group; and one that received fake acupuncture with an enhanced interaction with the provider, called the “augmented” group.
The “validated sham acupuncture,” as the study called it, was done similarly to real acupuncture, except the needles were placed over non-acupuncture points, Kaptchuk said. Patients were able to receive real acupuncture after the three weeks of the placebo study, he said.
A genetic analysis based on blood samples separated patients by variations on the COMT gene, or catechol-O- methyltransferase, known to be related to dopamine release. The researchers focused on COMT variations because the gene had been shown in earlier studies to have a potential association to treatment response.
Gene Variations
Patients with a variation referred to as met/met, for their two copies of the methionine allele, were shown to be more likely to respond to the placebo treatments, the study found. Those with a variation called val/val, for two copies of the valine allele, responded the least. Patients with one copy of each fell in the middle.
The study was unique in that it included a “wait list” arm, in which patients didn’t receive placebo or treatment. That enabled researchers to compare the two placebo groups with a non-treatment group.
• Misplaced materials data:
# GGA-PBEsol AsRhAu, optimized geometry
data_AsRhAu
_chemical_formula_sum 'As2 Rh2 Au2'
_symmetry_space_group_name_H-M 'I 4 m m'
_symmetry_Int_Tables_number 107
_symmetry_space_group_name_Hall 'I 4 -2'
_cell_length_a 3.150
_cell_length_b 3.150
_cell_length_c 9.579
_cell_angle_alpha 90.00
_cell_angle_beta 90.00
_cell_angle_gamma 90.00
loop_
_atom_site_label
_atom_site_fract_x
_atom_site_fract_y
_atom_site_fract_z
As1 0.000 0.000 0.000
Rh1 0.000 0.000 0.617
Au1 0.000 0.000 0.308
# Calculated formation energy = -0.082 eV/atom
# M_tot = 0.000 μB/atom
# Density = 13.1 Mg/m³
# Calculated volume = 95.07 Å³ per cell

# GGA-PBEsol AsRhAu2, optimized geometry
data_AsRhAu2
_chemical_formula_sum 'As3 Rh3 Au6'
_symmetry_space_group_name_H-M 'R -3 m'
_symmetry_Int_Tables_number 166
_symmetry_space_group_name_Hall '-R 3 2"'
_cell_length_a 2.8757
_cell_length_b 2.8757
_cell_length_c 27.3300
_cell_angle_alpha 90.00
_cell_angle_beta 90.00
_cell_angle_gamma 120.00
loop_
_atom_site_label
_atom_site_fract_x
_atom_site_fract_y
_atom_site_fract_z
As1 0.0000 0.0000 0.0000
Rh1 0.0000 0.0000 0.5000
Au1 0.0000 0.0000 0.2480
# Calculated formation energy = 0.241 eV/atom
# M_tot = 0.000 μB/atom
# Density = 14.6 Mg/m³
# Calculated volume = 195.73 Å³ per cell

# GGA-PBEsol AsRh2Au, optimized geometry
data_AsRh2Au
_chemical_formula_sum 'As3 Rh6 Au3'
_symmetry_space_group_name_H-M 'R 3 m'
_symmetry_Int_Tables_number 160
_symmetry_space_group_name_Hall 'R 3 -2"'
_cell_length_a 2.8310
_cell_length_b 2.8310
_cell_length_c 26.4874
_cell_angle_alpha 90.00
_cell_angle_beta 90.00
_cell_angle_gamma 120.00
loop_
_atom_site_label
_atom_site_fract_x
_atom_site_fract_y
_atom_site_fract_z
As1 0.0000 0.0000 0.0000
Rh1 0.0000 0.0000 0.4859
Rh2 0.0000 0.0000 0.7388
Au1 0.0000 0.0000 0.2387
# Calculated formation energy = 0.112 eV/atom
# M_tot = 0.094 μB/atom
# Density = 12.9 Mg/m³
# Calculated volume = 183.84 Å³ per cell

# GGA-PBEsol AsRuAu2, optimized geometry
data_AsRuAu2
_chemical_formula_sum 'As1 Ru1 Au2'
_symmetry_space_group_name_H-M 'P m m m'
_symmetry_Int_Tables_number 47
_cell_length_a 3.004
_cell_length_b 4.396
_cell_length_c 4.880
_cell_angle_alpha 90.00
_cell_angle_beta 90.00
_cell_angle_gamma 90.00
loop_
_symmetry_equiv_pos_as_xyz
'x,y,z'
'-x,-y,-z'
'-x,-y,z'
'x,y,-z'
'x,-y,-z'
'-x,y,z'
'-x,y,-z'
'x,-y,z'
loop_
_atom_site_label
_atom_site_fract_x
_atom_site_fract_y
_atom_site_fract_z
As1 0.000 0.000 0.000
Ru1 0.500 0.500 0.000
Au1 0.000 0.500 0.500
Au2 0.500 0.000 0.500
# Calculated formation energy = 0.344 eV/atom
# M_tot = 0.000 μB/atom
# Density = 14.7 Mg/m³
# Calculated volume = 64.44 Å³ per cell
The patients who saw the most improvement, those in the met/met group, responded more when they received care in the “augmented” placebo arm, reinforcing the importance of doctor- patient interaction, the authors wrote. They didn’t respond more than other patients in the “wait list” group, indicating met/met “is a predictor of the placebo effect, not just improvement in general,” the researchers wrote.
Brain Chemical
Their response is thought to be tied to the availability of dopamine in their prefrontal cortex. Dopamine has been linked to reward and “confirmation bias,” or the adherence to a first impression, Kaptchuk said.
“People with met/met look for evidence to confirm their first impression or intuition that something will work versus people with val/val, who if the evidence switches they’ll switch more easily,” he said. As met/met people start getting better, “they start seeing more ways of getting better.”
If the results are replicated in future studies, they may enable designers of clinical trials to screen patients’ genotypes and use that data to minimize placebo effects, said Kathryn Hall, the study’s lead author and a fellow in integrative medicine at Beth Israel Deaconess.
The implications are most applicable to studies in which patients report their pain, fatigue, nausea, anxiety or depression, Kaptchuk said. Outcomes such as tumor shrinkage among patients on placebo aren’t as well understood, Hall said.
The study’s findings are likely to ignite research within existing databases of clinical trial results that showed strong placebo responses, Hall said.
“It’s really interesting to now think that there’s this potentially fundamental difference between people,” Hall said in a telephone interview. “And it involves not just the placebo or the physical pill, but also involves this interaction that you have with your caregiver. It’s really important to think about the ways in which we’re similar and different, and design or develop medicines that are going to help us all heal.”